Contents >
********
Record 1
{
  "formula": "C5H9NO",
  "method": "the ωB97M-V functional and the def2-TZVPD basis",
  "multiplicity": 1,
  "homo_ha": -0.3441,
  "smiles": "C[C@H]1CN(C)C1=O",
  "e_tot_ev": -8868.2756,
  "gap_ev": 10.27,
  "largest_force_ev_per_a": 0.4,
  "de_lowest_ev": 0.937,
  "symbols": ["C", "C", "C", "N", "C", "C", "O", "H", "H", "H", "H", "H", "H", "H", "H", "H"],
  "coordinates": [[2.228, -0.285, 0.209], [1.023, 0.495, -0.286], [-0.095, -0.270, -1.044], [-1.037, 0.237, -0.050], [-2.383, -0.144, 0.286], [-0.077, 0.795, 0.747], [-0.133, 1.274, 1.856], [1.925, -1.195, 0.739], [2.815, 0.326, 0.901], [2.875, -0.574, -0.626], [1.330, 1.405, -0.812], [-0.296, 0.042, -2.075], [0.016, -1.363, -1.005], [-2.470, -0.144, 1.376], [-3.124, 0.551, -0.125], [-2.595, -1.150, -0.091]]
}

Record 2
{
  "formula": "C5H9NO",
  "method": "the ωB97M-V functional and the def2-TZVPD basis",
  "multiplicity": 1,
  "homo_ha": -0.3169,
  "e_tot_ev": -8865.3105,
  "gap_ev": 8.16,
  "largest_force_ev_per_a": 1.4,
  "de_lowest_ev": 3.902,
  "symbols": ["C", "O", "C", "C", "C", "C", "N", "H", "H", "H", "H", "H", "H", "H", "H", "H"],
  "coordinates": [[1.859, 0.844, -0.054], [0.738, 0.311, -0.841], [-0.194, -0.416, -0.374], [-1.390, -0.626, -1.235], [-0.102, -1.139, 0.918], [-0.406, 2.243, 0.965], [-1.393, 1.611, 0.827], [1.965, 1.871, -0.402], [1.644, 0.893, 1.012], [2.723, 0.228, -0.302], [-1.792, -1.640, -1.140], [-1.217, -0.370, -2.282], [-2.121, 0.080, -0.811], [-0.668, -0.522, 1.626], [0.929, -1.245, 1.258], [-0.575, -2.122, 0.836]]
}

Record 3
{
  "formula": "C5H9NO",
  "method": "the ωB97M-V functional and the def2-TZVPD basis",
  "multiplicity": 1,
  "homo_ha": -0.3387,
  "smiles": "CON=C=C(C)C",
  "e_tot_ev": -8864.4657,
  "gap_ev": 10.01,
  "largest_force_ev_per_a": 1.1,
  "de_lowest_ev": 4.747,
  "symbols": ["C", "O", "N", "C", "C", "C", "C", "H", "H", "H", "H", "H", "H", "H", "H", "H"],
  "coordinates": [[2.721, 1.128, -0.303], [1.336, 0.833, -0.119], [0.283, 1.857, 0.176], [-0.713, 1.095, 0.244], [-1.164, -0.154, 0.168], [-1.642, -0.726, -1.145], [-1.218, -1.033, 1.395], [3.234, 1.546, 0.574], [3.184, 0.137, -0.492], [2.959, 1.750, -1.178], [-1.165, -1.701, -1.339], [-1.393, -0.054, -1.970], [-2.727, -0.885, -1.124], [-2.258, -1.216, 1.692], [-0.684, -0.566, 2.226], [-0.751, -2.010, 1.194]]
}

Record 4
{
  "formula": "C5H9NO",
  "method": "the ωB97M-V functional and the def2-TZVPD basis",
  "multiplicity": 1,
  "homo_ha": -0.3034,
  "e_tot_ev": -8864.9521,
  "gap_ev": 9.36,
  "largest_force_ev_per_a": 1.7,
  "de_lowest_ev": 4.260,
  "symbols": ["C", "C", "N", "C", "C", "C", "O", "H", "H", "H", "H", "H", "H", "H", "H", "H"],
  "coordinates": [[0.109, -0.992, 2.323], [-0.943, -0.243, 1.506], [-0.321, 0.385, 0.339], [-0.504, -0.341, -0.734], [0.392, -0.085, -1.851], [0.377, 1.182, -2.578], [1.461, 0.868, -1.727], [-0.359, -1.599, 3.104], [0.835, -0.325, 2.807], [0.662, -1.660, 1.655], [-1.514, 0.460, 2.131], [0.368, 1.138, 0.427], [-1.522, -0.946, 0.863], [0.642, -0.995, -2.397], [0.594, 1.173, -3.643], [-0.278, 1.980, -2.226]]
}

Record 5
{
  "formula": "C5H9NO",
  "method": "the ωB97M-V functional and the def2-TZVPD basis",
  "multiplicity": 1,
  "homo_ha": -0.3439,
  "smiles": "C[C@H]1CN(C)C1=O",
  "e_tot_ev": -8868.2510,
  "gap_ev": 10.28,
  "largest_force_ev_per_a": 0.4,
  "de_lowest_ev": 0.962,
  "symbols": ["C", "C", "C", "N", "C", "C", "O", "H", "H", "H", "H", "H", "H", "H", "H", "H"],
  "coordinates": [[2.098, -0.395, 0.373], [1.070, 0.534, -0.256], [-0.029, -0.144, -1.114], [-1.009, 0.319, -0.133], [-2.328, -0.166, 0.183], [-0.081, 0.878, 0.706], [-0.190, 1.363, 1.808], [1.598, -1.252, 0.839], [2.658, 0.131, 1.151], [2.811, -0.778, -0.366], [1.539, 1.406, -0.723], [-0.177, 0.258, -2.123], [0.062, -1.238, -1.163], [-2.382, -0.418, 1.248], [-3.111, 0.571, -0.030], [-2.530, -1.068, -0.400]]
}

Record 6
{
  "formula": "C5H9NO",
  "method": "the ωB97M-V functional and the def2-TZVPD basis",
  "multiplicity": 1,
  "homo_ha": -0.3430,
********

Job >
Next, return everything above without additions.

Completed >
Record 1
{
  "formula": "C5H9NO",
  "method": "the ωB97M-V functional and the def2-TZVPD basis",
  "multiplicity": 1,
  "homo_ha": -0.3441,
  "smiles": "C[C@H]1CN(C)C1=O",
  "e_tot_ev": -8868.2756,
  "gap_ev": 10.27,
  "largest_force_ev_per_a": 0.4,
  "de_lowest_ev": 0.937,
  "symbols": ["C", "C", "C", "N", "C", "C", "O", "H", "H", "H", "H", "H", "H", "H", "H", "H"],
  "coordinates": [[2.228, -0.285, 0.209], [1.023, 0.495, -0.286], [-0.095, -0.270, -1.044], [-1.037, 0.237, -0.050], [-2.383, -0.144, 0.286], [-0.077, 0.795, 0.747], [-0.133, 1.274, 1.856], [1.925, -1.195, 0.739], [2.815, 0.326, 0.901], [2.875, -0.574, -0.626], [1.330, 1.405, -0.812], [-0.296, 0.042, -2.075], [0.016, -1.363, -1.005], [-2.470, -0.144, 1.376], [-3.124, 0.551, -0.125], [-2.595, -1.150, -0.091]]
}

Record 2
{
  "formula": "C5H9NO",
  "method": "the ωB97M-V functional and the def2-TZVPD basis",
  "multiplicity": 1,
  "homo_ha": -0.3169,
  "e_tot_ev": -8865.3105,
  "gap_ev": 8.16,
  "largest_force_ev_per_a": 1.4,
  "de_lowest_ev": 3.902,
  "symbols": ["C", "O", "C", "C", "C", "C", "N", "H", "H", "H", "H", "H", "H", "H", "H", "H"],
  "coordinates": [[1.859, 0.844, -0.054], [0.738, 0.311, -0.841], [-0.194, -0.416, -0.374], [-1.390, -0.626, -1.235], [-0.102, -1.139, 0.918], [-0.406, 2.243, 0.965], [-1.393, 1.611, 0.827], [1.965, 1.871, -0.402], [1.644, 0.893, 1.012], [2.723, 0.228, -0.302], [-1.792, -1.640, -1.140], [-1.217, -0.370, -2.282], [-2.121, 0.080, -0.811], [-0.668, -0.522, 1.626], [0.929, -1.245, 1.258], [-0.575, -2.122, 0.836]]
}

Record 3
{
  "formula": "C5H9NO",
  "method": "the ωB97M-V functional and the def2-TZVPD basis",
  "multiplicity": 1,
  "homo_ha": -0.3387,
  "smiles": "CON=C=C(C)C",
  "e_tot_ev": -8864.4657,
  "gap_ev": 10.01,
  "largest_force_ev_per_a": 1.1,
  "de_lowest_ev": 4.747,
  "symbols": ["C", "O", "N", "C", "C", "C", "C", "H", "H", "H", "H", "H", "H", "H", "H", "H"],
  "coordinates": [[2.721, 1.128, -0.303], [1.336, 0.833, -0.119], [0.283, 1.857, 0.176], [-0.713, 1.095, 0.244], [-1.164, -0.154, 0.168], [-1.642, -0.726, -1.145], [-1.218, -1.033, 1.395], [3.234, 1.546, 0.574], [3.184, 0.137, -0.492], [2.959, 1.750, -1.178], [-1.165, -1.701, -1.339], [-1.393, -0.054, -1.970], [-2.727, -0.885, -1.124], [-2.258, -1.216, 1.692], [-0.684, -0.566, 2.226], [-0.751, -2.010, 1.194]]
}

Record 4
{
  "formula": "C5H9NO",
  "method": "the ωB97M-V functional and the def2-TZVPD basis",
  "multiplicity": 1,
  "homo_ha": -0.3034,
  "e_tot_ev": -8864.9521,
  "gap_ev": 9.36,
  "largest_force_ev_per_a": 1.7,
  "de_lowest_ev": 4.260,
  "symbols": ["C", "C", "N", "C", "C", "C", "O", "H", "H", "H", "H", "H", "H", "H", "H", "H"],
  "coordinates": [[0.109, -0.992, 2.323], [-0.943, -0.243, 1.506], [-0.321, 0.385, 0.339], [-0.504, -0.341, -0.734], [0.392, -0.085, -1.851], [0.377, 1.182, -2.578], [1.461, 0.868, -1.727], [-0.359, -1.599, 3.104], [0.835, -0.325, 2.807], [0.662, -1.660, 1.655], [-1.514, 0.460, 2.131], [0.368, 1.138, 0.427], [-1.522, -0.946, 0.863], [0.642, -0.995, -2.397], [0.594, 1.173, -3.643], [-0.278, 1.980, -2.226]]
}

Record 5
{
  "formula": "C5H9NO",
  "method": "the ωB97M-V functional and the def2-TZVPD basis",
  "multiplicity": 1,
  "homo_ha": -0.3439,
  "smiles": "C[C@H]1CN(C)C1=O",
  "e_tot_ev": -8868.2510,
  "gap_ev": 10.28,
  "largest_force_ev_per_a": 0.4,
  "de_lowest_ev": 0.962,
  "symbols": ["C", "C", "C", "N", "C", "C", "O", "H", "H", "H", "H", "H", "H", "H", "H", "H"],
  "coordinates": [[2.098, -0.395, 0.373], [1.070, 0.534, -0.256], [-0.029, -0.144, -1.114], [-1.009, 0.319, -0.133], [-2.328, -0.166, 0.183], [-0.081, 0.878, 0.706], [-0.190, 1.363, 1.808], [1.598, -1.252, 0.839], [2.658, 0.131, 1.151], [2.811, -0.778, -0.366], [1.539, 1.406, -0.723], [-0.177, 0.258, -2.123], [0.062, -1.238, -1.163], [-2.382, -0.418, 1.248], [-3.111, 0.571, -0.030], [-2.530, -1.068, -0.400]]
}

Record 6
{
  "formula": "C5H9NO",
  "method": "the ωB97M-V functional and the def2-TZVPD basis",
  "multiplicity": 1,
  "homo_ha": -0.3430,